_Listing_
A plane-wave DFT calculation with PBE with a Hubbard U was carried out for an optimized crystal structure of LiVSi2O6.

Unit cell a=8.7585 b=5.3676 c=9.4061 alpha=77.18 beta=90.00 gamma=90.00
Sites, in units of the cell vectors:
Si1 0.3390 0.7886 0.4518
Si2 0.6612 0.7651 0.9517
Si3 0.8388 0.2651 0.9517
Si4 0.8390 0.7114 0.5482
Si5 0.3388 0.2349 0.0483
Si6 0.1610 0.2886 0.4518
Si7 0.6610 0.2114 0.5482
Si8 0.1612 0.7349 0.0483
O1 0.5019 0.7674 0.3738
O2 0.8338 0.1971 0.1318
O3 0.0065 0.3015 0.8794
O4 0.2259 0.5824 0.3976
O5 0.5065 0.1985 0.1206
O6 0.7668 0.0216 0.8931
O7 0.9981 0.2674 0.3738
O8 0.7332 0.5216 0.8931
O9 0.2332 0.9784 0.1069
O10 0.8357 0.7777 0.3675
O11 0.9935 0.6985 0.1206
O12 0.2668 0.4784 0.1069
O13 0.6643 0.2777 0.3675
O14 0.1662 0.8029 0.8682
O15 0.7741 0.4176 0.6024
O16 0.2741 0.0824 0.3976
O17 0.1643 0.2223 0.6325
O18 0.4935 0.8015 0.8794
O19 0.0019 0.7326 0.6262
O20 0.3338 0.3029 0.8682
O21 0.3357 0.7223 0.6325
O22 0.4981 0.2326 0.6262
O23 0.6662 0.6971 0.1318
O24 0.7259 0.9176 0.6024
Li1 0.5042 0.5114 0.7523
Li2 0.4958 0.4886 0.2477
Li3 0.0042 0.9886 0.2477
Li4 0.9958 0.0114 0.7523
V1 0.3469 0.0149 0.7496
V2 0.8469 0.4851 0.2504
V3 0.6531 0.9851 0.2504
V4 0.1531 0.5149 0.7496

## Properties
E_tot, eV/cell: -301.33
Energy above the most stable polymorph in this dataset, kJ per mole of atoms: 1.16
E_form, eV/atom: -2.962

***

A plane-wave DFT calculation with PBE with a Hubbard U was carried out for an optimized crystal structure of Li3VSi2O7.

Unit cell a=13.0834 b=8.6294 c=8.6426 alpha=60.14 beta=90.00 gamma=90.00
Sites, in units of the cell vectors:
Si1 0.8452 0.0234 0.3278
Si2 0.1207 0.6744 0.3489
Si3 0.1201 0.9795 0.6712
Si4 0.3452 0.9766 0.6722
Si5 0.6201 0.0205 0.3288
Si6 0.3452 0.6757 0.3508
Si7 0.3447 0.3528 0.9717
Si8 0.8447 0.6472 0.0283
Si9 0.8452 0.3243 0.6492
Si10 0.6207 0.6486 0.0255
Si11 0.1207 0.3514 0.9745
Si12 0.6207 0.3256 0.6511
O1 0.7326 0.3036 0.5677
O2 0.2326 0.6964 0.4323
O3 0.2326 0.4367 0.8696
O4 0.1050 0.4181 0.1202
O5 0.4295 0.7594 0.4296
O6 0.8416 0.8690 0.9290
O7 0.3600 0.1168 0.4643
O8 0.7326 0.5633 0.1304
O9 0.9295 0.5682 0.1898
O10 0.9292 0.1858 0.2437
O11 0.8427 0.9317 0.2019
O12 0.7324 0.1255 0.3065
O13 0.3416 0.1310 0.0710
O14 0.5367 0.5670 0.1888
O15 0.4295 0.4318 0.8102
O16 0.8600 0.8832 0.5357
O17 0.3596 0.4162 0.1207
O18 0.6260 0.2048 0.8678
O19 0.6054 0.8832 0.5377
O20 0.5368 0.2421 0.5703
O21 0.0368 0.7579 0.4297
O22 0.1263 0.1303 0.0750
O23 0.0367 0.4330 0.8112
O24 0.6254 0.9271 0.2054
O25 0.6263 0.8697 0.9250
O26 0.0369 0.8149 0.7544
O27 0.6051 0.5401 0.5789
O28 0.9295 0.2406 0.5704
O29 0.3427 0.0683 0.7981
O30 0.8605 0.5389 0.5799
O31 0.8596 0.5838 0.8793
O32 0.1260 0.7952 0.1322
O33 0.2324 0.8745 0.6935
O34 0.1051 0.4599 0.4211
O35 0.3605 0.4611 0.4201
O36 0.5369 0.1851 0.2456
O37 0.1054 0.1168 0.4623
O38 0.3426 0.7986 0.1333
O39 0.8426 0.2014 0.8667
O40 0.1254 0.0729 0.7946
O41 0.6050 0.5819 0.8798
O42 0.4292 0.8142 0.7563
Li1 0.3979 0.6637 0.0269
Li2 0.0666 0.0212 0.3099
Li3 0.8986 0.6915 0.3327
Li4 0.8965 0.9785 0.6889
Li5 0.3965 0.0215 0.3111
Li6 0.7343 0.6685 0.6659
Li7 0.5655 0.6919 0.3313
Li8 0.8979 0.3363 0.9731
Li9 0.2181 0.6691 0.6650
Li10 0.5666 0.9788 0.6901
Li11 0.4628 0.0023 0.9976
Li12 0.5661 0.3338 0.9741
Li13 0.3986 0.3085 0.6673
Li14 0.0655 0.3081 0.6687
Li15 0.2343 0.3315 0.3341
Li16 0.7181 0.3309 0.3350
Li17 0.9628 0.9977 0.0024
Li18 0.0661 0.6662 0.0259
V1 0.0095 0.3315 0.3345
V2 0.4559 0.3314 0.3347
V3 0.5095 0.6685 0.6655
V4 0.2313 0.9978 0.9979
V5 0.7313 0.0022 0.0021
V6 0.9559 0.6686 0.6653

## Properties
E_tot, eV/cell: -543.77
Energy above the most stable polymorph in this dataset, kJ per mole of atoms: 0.29
E_form, eV/atom: -2.834

***

A plane-wave DFT calculation with PBE with a Hubbard U was carried out for an optimized crystal structure of Li4V3SiO10.

Unit cell a=5.1303 b=6.0490 c=8.3051 alpha=90.41 beta=107.95 gamma=90.12
Sites, in units of the cell vectors:
Li1 0.5237 0.6578 0.9001
Li2 0.1371 0.6624 0.1143
_Work order_
Next, work out how many lines earlier on have the word "Li3" in them; a number is enough.
_Completed_
2